

Finance Secretary Benjamin Diokno predicted in January that inflation peaked in December at 8.1%. Unfortunately, he misread the data because inflation spiked further to 8.7% in January 2023. According to the Philippine Statistics Authority (PSA), nine of 13 categories in January breached the Bangko Sentral ng Pilipinas’ 4% threshold for headline inflation, and two items — namely food prices and transport costs — were 10.7% and 11.2%, respectively. Prices of utilities increased by 8.5%.

Recently, Secretary Diokno once again forecast headline inflation going down in February. Reduced oil prices since January may lend support to his forecast, but that may fail to break the momentum. Alternatively, inflation may still go up to because of food prices. Sugar prices hogged the headlines in January and February. If landed sugar prices could be at P30 to P40 a kilo, local prices reached P100 a kilo in February. High sugar prices come after onion prices which were more expensive than beef.

The classic prescription of economists to reduce food prices involves increasing productivity and freeing up food importation. These still make sense in our view, but we may need to check on the competition environment surrounding food importation. Productivity programs are necessary but they are more a long-term solution to the problem of high food prices.

While the country must increase farm productivity, we must check at the same time if the statutory reductions of tariff barriers and extent of implementation of relevant international trade agreements such as the Agreements on Agriculture and Sanitary and Phyto-sanitary Measures are both supportive to effectively free up trade in food products.

Before we joined the World Trade Organization (WTO), food imports had been our last resort to avoid food shortages, and parastatals like the National Food Authority (NFA) were allowed to bring in the required imports. The private sector traders kept their hands off in the business of food imports. Shortages of food persisted when the NFA misread the supply and demand situation, delaying food imports. Thus, we had occasional food price crises linked to the inefficiency of the bureaucracy in designing and implementing productivity programs and importing food at the right time and volume.

Economists had clamored in those years to allow anyone to import food to stabilize food prices. However, the government resisted that in order to protect local farmers from competitive food imports.

The problem changed in a major way in 1995 when the Philippines joined the WTO as a founding member. As a member, the country is contractually bound to implement the worldwide agreement on Agriculture, among other obligations. The agreement called for the liberalization of food imports, reduced import duties on food items, and introduced international trade rules which support food import liberalization like transparency.

But there were features in the agreement that inadvertently had the promise of slowing down trade flows in food and agriculture. I refer to two items, the tariff rate quota system and the imperfect implementation of the SPS agreement.

The tariff rate quota system prescribes two tariffs on food imports, a higher tariff on imports above the quota, and a very low tariff rate on volumes within the quota. Each member in 1995 committed its out-quota tariffs which were typically exclusionary of imported food, and in-quota tariffs. Quotas were set to defend the three-year average food imports, and that was resorted to defend existing food trade in the global system. Over the next 10 years of implementation of the farm agreement, members committed to expand the quota and reduce the higher tariff on out-of-quota imports.

It may be observed that the Philippines saw in the system a way of controlling the volumes of food imports that come into the country. After the 10-year implementation, a member could slow down the reduction of out-quota tariffs, and manage the volume of import quotas to attain its economic and political objectives. Thus, the economy is stuck with redundant out-quota tariffs, and a quota system that regulators may calibrate to suit the political expediencies of the time.

The Agreement had stipulated that the tariff rate quota system was to be implemented in 10 years by developing countries but was silent on the need to lift such a system after 10 years. And therefore, we still have the tariff rate quota system which can be used to control food imports.

Had the WTO agreement on agriculture prescribed the dismantling of the tariff rate quota system after 10 years, global farm trade could have expanded significantly more than what the world had observed. Members willing to free up their trade can bring down out-quota tariffs to the level of the lower in-quota tariff, allowing free importation of food imports subject to the unified low import tariffs.

We did not do this, nor were WTO members obligated to dismantle the tariff rate quota system. Trade regulators inadvertently used the system to control market volumes, and that induced imperfect competition and spawned economic rents surrounding food importation. The allocation of the regulated quota went to the selected few winners through the minimum access volumes (MAV), and these few eventually were empowered to extract undue profits from food consumers.

Another creative way of controlling food imports has to do with the Agreement on Sanitary and Phytosanitary (SPS) Measures. This accord introduces disciplines in the exercise by member countries of their right to protect the health of their respective residents from diseases found in food imports, or their animal and plant populations from pests, or animal or plant diseases.

The agreement prescribes the following contractual obligations of members. The first is harmonization with international standards or, in their absence, to conduct a risk assessment to design an appropriate SPS measure to deal with the identified risk. Banning imports of chicken from countries with avian flu, for example, is an SPS measure. Other principles include equivalence, regionalization, control, inspection, and approval procedures and transparency.

In implementing the SPS agreement on food imports, importers are licensed by our food safety regulatory agencies, namely the Bureau of Plant Industry, Bureau of Animal Industry, National Meat Inspection System, Fertilizer and Pesticide Authority, Bureau of Fisheries and Aquatic Resources, Sugar Regulatory Administration, Philippine Coconut Authority, and National Dairy Authority.

The import licensing is automatic — that is, if the importer meets the SPS standards and technical regulations, the regulator has to issue the import license.

Regulators in practice exercise discretion in the granting of import licenses. If there is a need to control the volume so that food prices do not go down as much, they could delay the granting of the licenses or disapprove the applications for whatever reasons. Denied applicants could challenge the decision of regulators, but that has a cost and they may just abandon their plan to import food. Others who mastered the game of getting import licenses remain and could control food market prices.

An assessment done by the Standards and Trade Development Facility (STDF) of the WTO Secretariat, and supported by another study on the Trade Policy Review by the WTO Secretariat in 2017, says that there is evidence that the licensing and permitting system is often used for controlling volume (resulting in higher prices to consumers). The 2017 Trade Policy Review noted that “some traders believe that quotas applied in licenses and permits aim at control of markets, not protection of health.”

The imperfect compliance of the country to its contractual obligations under the WTO SPS agreement, like the tariff rate quota system, breeds economic rents.

One possible measure is to remove import licensing. Opponents to this idea will raise the concern that this proposal introduces pests, diseases, and so on into our country. Remember African Swine Fever? That one came to us through imports. That is a valid objection and let me deal with that by invoking the principle of equivalency, one of the principles of the SPS agreement.

The study by the STDF asserts that according to the SPS Agreement’s equivalence principle, safety assurances from reputable foreign sources should be accepted. Import licensing has limited contribution to ensuring public, animal or plant health if exporting countries provide safety assurances for the food they export to us.

Food safety regulators can facilitate this by publishing countries which we can safety import from. If there are new sources of food imports, then we conduct a risk assessment.

By freeing up import licensing with publication on safe sources of food imports, we allow more traders to go into the food import business. Presently, there are only a few traders who are into importing, those who understand the SPS agreement and the tariff rate quota system. Competition is needed to prevent a few from profiteering, and that is promoted if we lift the import licensing system for SPS.

A second possible measure is to dismantle the tariff rate quota system. This can be done by bringing down the out-quota tariff rate on food imports to the level of the in-quota tariff rate. This can be done by the President, exercising his power to adjust tariffs under Section 401 of the country’s tariff code. This move is consistent with our obligations under the Agreement on Agriculture.

How about the “poor farmers”? They will be happy because in most days of the year they are food consumers. Opponents of freeing up further food imports argue that farm incomes will go down because of uncontrolled food imports. We want food imports to come in as much as possible to reduce food prices and raise real household incomes including those of the poor farmers.

This record from the Materials Project describes an optimized crystal structure of Li3MnCo2O6. The functional is PBE with a Hubbard U.

Values from the calculation:
**Crystal system**: triclinic
**E_form**: -1.808 eV/atom

abc: 2.979 7.673 9.844
angles: 91.94 97.98 99.92
Fractional positions:
Li 0.000 0.000 0.000
Li 0.157 0.828 0.501
Li 0.326 0.672 0.999
Li 0.492 0.486 0.496
Li 0.660 0.330 0.995
Li 0.818 0.158 0.495
Mn 0.408 0.079 0.748
Mn 0.910 0.579 0.248
Co 0.087 0.416 0.747
Co 0.262 0.233 0.247
Co 0.556 0.925 0.248
Co 0.730 0.743 0.748
O 0.061 0.215 0.861
O 0.114 0.613 0.631
O 0.182 0.032 0.371
O 0.310 0.472 0.139
O 0.354 0.878 0.862
O 0.464 0.280 0.633
O 0.509 0.686 0.356
O 0.636 0.126 0.124
O 0.703 0.546 0.865
O 0.757 0.944 0.634
O 0.876 0.375 0.356
O 0.943 0.783 0.139

----------

First-principles (GGA+U) data for a relaxed structure of Cr4PN3O16, as listed in the Materials Project.

Lattice parameters (Å, degrees): 7.883 7.883 7.883 102.22 102.22 102.22
Fractional coordinates of all 24 atoms:
Cr (0.373, 0.754, 0.373)
Cr (0.373, 0.373, 0.754)
Cr (0.754, 0.373, 0.373)
Cr (0.999, 0.999, 0.999)
P (0.322, 0.322, 0.322)
N (0.950, 0.499, 0.950)
N (0.950, 0.950, 0.499)
N (0.499, 0.950, 0.950)
O (0.300, 0.507, 0.300)
O (0.300, 0.300, 0.507)
O (0.507, 0.300, 0.300)
O (0.578, 0.830, 0.361)
O (0.361, 0.578, 0.830)
O (0.830, 0.361, 0.578)
O (0.361, 0.830, 0.578)
O (0.578, 0.361, 0.830)
O (0.830, 0.578, 0.361)
O (0.240, 0.831, 0.240)
O (0.240, 0.240, 0.831)
O (0.831, 0.240, 0.240)
O (0.176, 0.176, 0.176)
O (0.870, 0.085, 0.870)
O (0.870, 0.870, 0.085)
O (0.085, 0.870, 0.870)

Properties
total DFT energy (no corrections)	-5.997	eV per atom

=====

First-principles (GGA+U) data for a relaxed structure of La3YFe4As4O4, as listed in the Materials Project.

Lattice parameters (Å, degrees): 4.091 8.190 9.279 90.00 90.00 90.00
Fractional coordinates of all 16 atoms:
La (0.000, 0.500, 0.132)
La (0.500, 0.752, 0.872)
La (0.500, 0.248, 0.872)
Y (0.000, 0.000, 0.117)
Fe (0.000, 0.751, 0.499)
Fe (0.000, 0.249, 0.499)
Fe (0.500, 0.000, 0.499)
Fe (0.500, 0.500, 0.498)
As (0.000, 0.000, 0.676)
As (0.000, 0.500, 0.675)
As (0.500, 0.752, 0.323)
As (0.500, 0.248, 0.323)
O (0.000, 0.756, 0.004)
O (0.000, 0.244, 0.004)
O (0.500, 0.000, 0.008)
O (0.500, 0.500, 0.000)

Properties
excess energy over the best structure of this formula in the dataset	0.000	eV/atom
total DFT energy (no corrections)	-6.832	eV per atom

=====

First-principles (GGA+U) data for a relaxed structure of LiMn2O3F, as listed in the Materials Project.

Lattice parameters (Å, degrees): 6.162 10.174 6.169 89.99 59.96 106.48
Fractional coordinates of all 28 atoms:
Li (0.105, 0.159, 0.940)
Li (0.104, 0.659, 0.457)
Li (0.896, 0.841, 0.044)
Li (0.896, 0.341, 0.560)
Mn (0.502, 0.251, 0.251)
Mn (0.498, 0.749, 0.753)
Mn (0.503, 0.501, 0.509)
Mn (0.496, 0.499, 0.013)
Mn (0.000, 0.500, 0.016)
Mn (0.498, 0.000, 0.991)
Mn (0.503, 0.000, 0.488)
Mn (0.000, 0.000, 0.483)
O (0.751, 0.400, 0.361)
O (0.742, 0.892, 0.833)

It is about time that we deal squarely with this “big lie” in agriculture. The majority of our “poor farmers” are small holders. If farm prices go down, incomes will go down but asking consumers to pay a higher price on food imports is the wrong way to address the problem. We need higher productivity to sustainably increase farm incomes. It is true that their costs may exceed farm prices and we need to deal with that problem, with effective productivity programs, particularly of the private sector in partnership with the Department of Agriculture. Higher productivity can reverse the present lack of competitiveness of our agriculture sector.

In a previous contribution, I argued that we need to lift the ceiling on farm market ownership in order to attract private sector investments into agriculture. Let the proposed debt condonation law benefiting agrarian reform beneficiaries remove existing ceilings, or at least raise the ceiling to, say, 25 hectares from the current five hectares. We must make farm markets more responsive to our need of improving farm productivity, by freeing up the buying and selling of farm hectares to ensure that they can be developed most productively.

Investments are needed in order to raise productivity, and those with capital come into agriculture if they can have reasonable economies of scale and security of tenure. Given that we had already implemented the comprehensive agrarian program, we may consider encouraging farmers to do group farming. If they do not have capital to do this, they could link up with private sector investors in agriculture. They own the land, and will be compensated by the investors for the use of their land. They could work on the farm and generate extra income.


Ramon L. Clarete is a professor at the University of the Philippines School of Economics.